(To do)
Copy everything below verbatim.

(Input)
____________
Gd2DyMg3InGa2 | PBE-GGA | optimized geometry

abc: 4.5697 12.7215 7.3699
angles: 90.00 90.00 90.00
Space group Amm2 (No. 38)
One atom of each set of equivalent atoms:
1 Gd 0.0000 0.2185 0.0000 x4
2 Dy 0.0000 0.0000 0.6553 x2
3 Mg 0.5000 0.0000 0.9688 x2
4 Mg 0.5000 0.1247 0.3438 x4
5 In 0.0000 0.0000 0.2202 x2
6 Ga 0.5000 0.1659 0.7186 x4

Properties
**Calculated volume**: 23.802 Å³ per atom
**DFT total energy**: -3.51 eV per atom
**M_tot**: 0.01 μB/cell
____________

(Here it is)
Gd2DyMg3InGa2 | PBE-GGA | optimized geometry

abc: 4.5697 12.7215 7.3699
angles: 90.00 90.00 90.00
Space group Amm2 (No. 38)
One atom of each set of equivalent atoms:
1 Gd 0.0000 0.2185 0.0000 x4
2 Dy 0.0000 0.0000 0.6553 x2
3 Mg 0.5000 0.0000 0.9688 x2
4 Mg 0.5000 0.1247 0.3438 x4
5 In 0.0000 0.0000 0.2202 x2
6 Ga 0.5000 0.1659 0.7186 x4

Properties
**Calculated volume**: 23.802 Å³ per atom
**DFT total energy**: -3.51 eV per atom
**M_tot**: 0.01 μB/cell